Now copy the lines further down unchanged.

- - -
# 1
A relaxed Pm14YCd crystal. Source: Alexandria, functional PBE-GGA.

abc: 7.201 7.201 10.250
angles: 90.00 90.00 90.01
Sites, in units of the cell vectors:
Pm1 0.626 0.876 0.246
Pm2 0.626 0.876 0.754
Pm3 0.124 0.876 0.247
Pm4 0.124 0.374 0.754
Y1 0.375 0.625 0.000
Pm5 0.875 0.626 0.000
Pm6 0.374 0.125 0.000
Pm7 0.376 0.125 0.500
Pm8 0.626 0.374 0.754
Cd1 0.875 0.125 0.000
Pm9 0.124 0.876 0.753
Pm10 0.375 0.625 0.500
Pm11 0.875 0.624 0.500
Pm12 0.626 0.374 0.246
Pm13 0.124 0.374 0.246
Pm14 0.875 0.125 0.500

Values from the calculation:
The value obtained for the formation energy is -11 meV per atom. The electronic total energy comes out at -74.1 eV per cell.

---

# 2
A relaxed RbAgSbI2 crystal. Source: Alexandria, functional PBE-GGA.

abc: 6.100 6.100 5.430
angles: 90.00 90.00 90.00
Each line ends with the local moment (μB).
Sites, in units of the cell vectors:
Rb1 0.500 0.500 0.500  0.01
I1 0.000 0.500 0.000  0.07
I2 0.500 0.000 0.000  0.07
Sb1 0.000 0.000 0.500  0.56
Ag1 0.000 0.000 0.000  0.05

Values from the calculation:
The formation energy (no corrections) is -0.258 eV/atom. The electronic total energy comes out at -12.3 eV per cell.

---

# 3
A relaxed ReTe2Br crystal. Source: Alexandria, functional PBE-GGA.

abc: 3.148 3.148 10.940
angles: 90.00 90.00 115.92
Sites, in units of the cell vectors:
Br1 0.500 0.500 0.250
Te1 0.000 0.000 0.551
Te2 0.000 0.000 0.949
Re1 0.500 0.500 0.750

Values from the calculation:
The formation energy (no corrections) is 0.559 eV/atom. The electronic total energy comes out at -18.2 eV per cell.

---

# 4
A relaxed Tc2OsW crystal. Source: Alexandria, functional PBE-GGA.

abc: 2.754 2.754 7.913
angles: 90.00 90.00 90.00
Sites, in units of the cell vectors:
Tc1 0.000 0.000 0.511
Os1 0.500 0.500 0.750
Tc2 0.000 0.000 0.989
W1 0.500 0.500 0.250

Values from the calculation:
The value obtained for the formation energy is 118 meV per atom. The electronic total energy comes out at -44.4 eV per cell.

---

# 5
A relaxed La3CoPb crystal. Source: Alexandria, functional PBE-GGA.

abc: 4.556 8.776 7.631
angles: 90.00 90.00 90.00
Sites, in units of the cell vectors:
La1 0.000 0.528 0.271
La2 0.000 0.028 0.729
Pb1 0.500 0.250 0.508
Co1 0.000 0.750 0.679
Co2 0.000 0.250 0.321
La3 0.500 0.250 0.059
Pb2 0.500 0.750 0.492
La4 0.000 0.972 0.271
La5 0.500 0.750 0.941
La6 0.000 0.472 0.729

Values from the calculation:
The value obtained for the formation energy is -230 meV per atom. The electronic total energy comes out at -53.5 eV per cell.

---

# 6
A relaxed KHfIrO6 crystal. Source: Alexandria, functional PBE-GGA.

abc: 5.393 5.393 5.989
angles: 90.00 90.00 60.00
Each line ends with the local moment (μB).
Sites, in units of the cell vectors:
K1 0.000 0.000 0.000  0.00
O1 0.605 0.373 0.683  0.12
O2 0.022 0.373 0.317  0.12
O3 0.605 0.022 0.317  0.12
Hf1 0.667 0.667 0.500  0.05
O4 0.373 0.605 0.317  0.12
O5 0.022 0.605 0.683  0.12
O6 0.373 0.022 0.683  0.12
Ir1 0.333 0.333 0.500  0.95

Values from the calculation:
The formation energy (no corrections) is -1.663 eV/atom. The electronic total energy comes out at -64.6 eV per cell.

---

# 7
A relaxed Sr2AlWS crystal. Source: Alexandria, functional PBE-GGA.

abc: 6.225 4.522 6.225
angles: 90.00 90.00 90.00
Each line ends with the local moment (μB).
Sites, in units of the cell vectors:
W1 0.500 0.500 0.500  3.16
Sr1 0.500 0.000 0.000  0.04
Sr2 0.000 0.000 0.500  0.03
Al1 0.000 0.000 0.000  0.00
S1 0.000 0.500 0.000  0.00

Values from the calculation:
The formation energy (no corrections) is 1.036 eV/atom. The electronic total energy comes out at -19.0 eV per cell.

---

# 8
A relaxed LiSiSe2 crystal. Source: Alexandria, functional PBE-GGA.

abc: 7.979 5.975 2.779
angles: 62.04 110.72 138.59
Sites, in units of the cell vectors:
Se1 0.000 0.000 0.000
Si1 0.000 0.500 0.500
Li1 0.500 0.500 0.000
Se2 0.500 0.000 0.500

Values from the calculation:
The formation energy (no corrections) is -0.343 eV/atom. The electronic total energy comes out at -15.7 eV per cell.
- - -

# 1
A relaxed Pm14YCd crystal. Source: Alexandria, functional PBE-GGA.

abc: 7.201 7.201 10.250
angles: 90.00 90.00 90.01
Sites, in units of the cell vectors:
Pm1 0.626 0.876 0.246
Pm2 0.626 0.876 0.754
Pm3 0.124 0.876 0.247
Pm4 0.124 0.374 0.754
Y1 0.375 0.625 0.000
Pm5 0.875 0.626 0.000
Pm6 0.374 0.125 0.000
Pm7 0.376 0.125 0.500
Pm8 0.626 0.374 0.754
Cd1 0.875 0.125 0.000
Pm9 0.124 0.876 0.753
Pm10 0.375 0.625 0.500
Pm11 0.875 0.624 0.500
Pm12 0.626 0.374 0.246
Pm13 0.124 0.374 0.246
Pm14 0.875 0.125 0.500

Values from the calculation:
The value obtained for the formation energy is -11 meV per atom. The electronic total energy comes out at -74.1 eV per cell.

---

# 2
A relaxed RbAgSbI2 crystal. Source: Alexandria, functional PBE-GGA.

abc: 6.100 6.100 5.430
angles: 90.00 90.00 90.00
Each line ends with the local moment (μB).
Sites, in units of the cell vectors:
Rb1 0.500 0.500 0.500  0.01
I1 0.000 0.500 0.000  0.07
I2 0.500 0.000 0.000  0.07
Sb1 0.000 0.000 0.500  0.56
Ag1 0.000 0.000 0.000  0.05

Values from the calculation:
The formation energy (no corrections) is -0.258 eV/atom. The electronic total energy comes out at -12.3 eV per cell.

---

# 3
A relaxed ReTe2Br crystal. Source: Alexandria, functional PBE-GGA.

abc: 3.148 3.148 10.940
angles: 90.00 90.00 115.92
Sites, in units of the cell vectors:
Br1 0.500 0.500 0.250
Te1 0.000 0.000 0.551
Te2 0.000 0.000 0.949
Re1 0.500 0.500 0.750

Values from the calculation:
The formation energy (no corrections) is 0.559 eV/atom. The electronic total energy comes out at -18.2 eV per cell.

---

# 4
A relaxed Tc2OsW crystal. Source: Alexandria, functional PBE-GGA.

abc: 2.754 2.754 7.913
angles: 90.00 90.00 90.00
Sites, in units of the cell vectors:
Tc1 0.000 0.000 0.511
Os1 0.500 0.500 0.750
Tc2 0.000 0.000 0.989
W1 0.500 0.500 0.250

Values from the calculation:
The value obtained for the formation energy is 118 meV per atom. The electronic total energy comes out at -44.4 eV per cell.

---

# 5
A relaxed La3CoPb crystal. Source: Alexandria, functional PBE-GGA.

abc: 4.556 8.776 7.631
angles: 90.00 90.00 90.00
Sites, in units of the cell vectors:
La1 0.000 0.528 0.271
La2 0.000 0.028 0.729
Pb1 0.500 0.250 0.508
Co1 0.000 0.750 0.679
Co2 0.000 0.250 0.321
La3 0.500 0.250 0.059
Pb2 0.500 0.750 0.492
La4 0.000 0.972 0.271
La5 0.500 0.750 0.941
La6 0.000 0.472 0.729

Values from the calculation:
The value obtained for the formation energy is -230 meV per atom. The electronic total energy comes out at -53.5 eV per cell.

---

# 6
A relaxed KHfIrO6 crystal. Source: Alexandria, functional PBE-GGA.

abc: 5.393 5.393 5.989
angles: 90.00 90.00 60.00
Each line ends with the local moment (μB).
Sites, in units of the cell vectors:
K1 0.000 0.000 0.000  0.00
O1 0.605 0.373 0.683  0.12
O2 0.022 0.373 0.317  0.12
O3 0.605 0.022 0.317  0.12
Hf1 0.667 0.667 0.500  0.05
O4 0.373 0.605 0.317  0.12
O5 0.022 0.605 0.683  0.12
O6 0.373 0.022 0.683  0.12
Ir1 0.333 0.333 0.500  0.95

Values from the calculation:
The formation energy (no corrections) is -1.663 eV/atom. The electronic total energy comes out at -64.6 eV per cell.

---

# 7
A relaxed Sr2AlWS crystal. Source: Alexandria, functional PBE-GGA.

abc: 6.225 4.522 6.225
angles: 90.00 90.00 90.00
Each line ends with the local moment (μB).
Sites, in units of the cell vectors:
W1 0.500 0.500 0.500  3.16
Sr1 0.500 0.000 0.000  0.04
Sr2 0.000 0.000 0.500  0.03
Al1 0.000 0.000 0.000  0.00
S1 0.000 0.500 0.000  0.00

Values from the calculation:
The formation energy (no corrections) is 1.036 eV/atom. The electronic total energy comes out at -19.0 eV per cell.

---

# 8
A relaxed LiSiSe2 crystal. Source: Alexandria, functional PBE-GGA.

abc: 7.979 5.975 2.779
angles: 62.04 110.72 138.59
Sites, in units of the cell vectors:
Se1 0.000 0.000 0.000
Si1 0.000 0.500 0.500
Li1 0.500 0.500 0.000
Se2 0.500 0.000 0.500

Values from the calculation:
The formation energy (no corrections) is -0.343 eV/atom. The electronic total energy comes out at -15.7 eV per cell.